JANE MURIITHI-THOMAS Rewriting the rules of marketing

Jane Muriithi-Thomas is a seasoned professional who has cut a niche for herself in the marketing and communications field. The go-getter and bubbly mother of two is the head of marketing and communications at the United States International University Africa. She talks to ESTHER KIRAGU about discovering and nurturing her marketing and communications passion, embracing trends in marketing and finding that elusive work-life balance.
In May 2016, under the stewardship of Jane Muriithi-Thomas, United States International University Africa (USIU-Africa) won the 2015 African Excellence Awards in the field of public relations and communications. When I first walk into Jane’s office in the
department of marketing and communication at the institution, I couldn’t help but notice the recently won trophy sitting on one of the shelves.
“This is a great source of pride to USIU-Africa as we are the first university in Africa to win it,” the head of marketing and communication at USIU-Africa tells me, adding that she feels very privileged to be part of a team that is dedicated to achieving global excellence. This award has gained USIU-Africa international recognition for their PR and Communication work and celebrate with Africa’s communication community, it has enhanced their reputation as leading communicators and built their brand. The trophy was won from a campaign dubbed Experience USIU-Africa, which was termed as one of the most strategic campaigns as the message stood out clearly over a sustained period and on a limited budget.
Discovering her passion…
Jane has always been a high achiever. “My parents always imparted on me that my education is my inheritance and no one can take it away from me. I have lived true to these words,” says the Kianda High School alumnus.
Up until the very end of her high school education, Jane was inclined to join the legal profession. Most of her peers often told her that she would make a good lawyer based on her personality – smart, knowledgeable, highly competitive and factual. However, the constraints of the practice discouraged her from the profession. But it took her to volunteer at a law firm just after completing high school to realise that law was not the path she wanted to pursue. Now a firm believer in job shadowing, Jane advises young people to spend a day in the life of someone in a field they are interested in as this helps one decide for or against a potential career option before settling for what course to pursue in college.
In her case, Jane found her footing in the field of business and settled for a business administration and marketing degree at Daystar University in 1998. “I really enjoyed the marketing classes I attended as part of my business course. So keen was my interest in marketing that by the time I was in my third year, I was the university’s representative at the Marketing Students Association,” she says.
As she awaited graduation, she took up an internship at Dale and Carnegie; a training company that emphasises on programmes that offer people the knowledge, skills and practices they need to add value to businesses by connecting proven solutions with real-world challenges.
........
A plane-wave DFT calculation with PBE was carried out for a relaxed Si2H2O3 crystal.

Cell: 18.6245 8.7667 14.3075 Å, 90.00 122.98 90.00°
Space group Cc (No. 9)
Symmetry-distinct sites (fractional):
Si: 0.0000 0.0755 0.0000
Si: 0.0636 0.2800 0.5456
Si: 0.0752 0.2676 0.3058
Si: 0.1810 0.2592 0.8676
Si: 0.1868 0.2970 0.1289
Si: 0.2777 0.3116 0.4475
Si: 0.2910 0.2795 0.7141
Si: 0.3339 0.0842 0.9743
Si: 0.3598 0.0759 0.2407
Si: 0.4773 0.4403 0.2398
H: 0.0069 0.4293 0.3768
H: 0.0534 0.2400 0.6937
H: 0.1465 0.4345 0.9593
H: 0.1516 0.0360 0.0911
H: 0.1801 0.2025 0.5347
H: 0.1936 0.0769 0.4201
H: 0.3487 0.4366 0.6176
H: 0.3877 0.1568 0.4672
H: 0.4403 0.1269 0.1619
H: 0.4501 0.2663 0.3424
O: 0.0214 0.1079 0.4962
O: 0.0353 0.0957 0.2967
O: 0.0546 0.3551 0.4162
O: 0.0652 0.1936 0.7657
O: 0.1166 0.1260 0.0809
O: 0.1664 0.3283 0.9763
O: 0.1753 0.2319 0.5988
O: 0.1855 0.1949 0.4215
O: 0.2269 0.0857 0.9327
O: 0.2737 0.1882 0.1837
O: 0.3069 0.3492 0.5864
O: 0.3212 0.1010 0.7123
O: 0.3381 0.1290 0.4708
O: 0.3811 0.0908 0.1267
O: 0.4793 0.3704 0.3619

- Energy relative to the lowest polymorph listed for this composition: 0.597 eV/atom
- Raw total energy: -0.428 Ry/atom
- ΔE_f: -999 kJ/mol of formula units
- ρ: 1.8 g/cm3
- Magnetic moment: 0.01 μB/cell

* * * * *

(1)
SiO2 | meta-GGA r2SCAN | optimized geometry

abc: 5.236 12.160 13.055
angles: 108.58 101.57 90.00
Sites, in units of the cell vectors:
O 0.665 0.138 0.830
Si 0.282 0.481 0.565
O 0.656 0.789 0.312
O 0.835 0.862 0.170
Si 0.931 0.832 0.862
Si 0.712 0.139 0.424
O 0.086 0.052 0.173
Si 0.369 0.714 0.739
O 0.165 0.138 0.830
Si 0.937 0.089 0.873
O 0.500 0.153 0.500
Si 0.288 0.861 0.576
O 0.335 0.862 0.170
O 0.843 0.243 0.186
Si 0.718 0.519 0.435
Si 0.718 0.782 0.435
O 0.000 0.153 0.500
O 0.344 0.574 0.689
Si 0.069 0.168 0.138
O 0.318 0.763 0.636
O 0.343 0.243 0.186
Si 0.282 0.218 0.565
O 0.500 0.500 0.500
O 0.657 0.757 0.814
O 0.656 0.426 0.311
O 0.500 0.847 0.500
Si 0.063 0.911 0.127
O 0.003 0.134 0.006
O 0.157 0.757 0.814
O 0.286 0.353 0.572
O 0.000 0.847 0.500
O 0.344 0.211 0.688
O 0.997 0.866 0.994
Si 0.623 0.882 0.247
O 0.333 0.988 0.667
O 0.714 0.647 0.428
Si 0.377 0.118 0.753
O 0.914 0.948 0.827
Si 0.631 0.286 0.261
O 0.000 0.500 0.500
O 0.682 0.237 0.364
O 0.667 0.012 0.333

Calculated values
* formation energy: -9.1 eV per formula unit
* SG: C2/m (12)

---

(2)
SrAs2O6 | meta-GGA r2SCAN | optimized geometry

abc: 4.874 4.874 10.903
angles: 90.00 90.00 120.00
Sites, in units of the cell vectors:
O 0.000 0.617 0.905
O 0.000 0.617 0.595
O 0.383 0.000 0.095
O 0.383 0.383 0.595
O 0.000 0.383 0.095
As 0.667 0.333 0.000
Sr 0.000 0.000 0.750
As 0.333 0.667 0.000
O 0.000 0.383 0.405
........
**The materials data stop here**
She says participating in the professional development and career advancement training offered at Dale and Carnegie in addition to networking with movers and shakers in the industry helped her gain valuable experience and stand out from the crowd.
An expansive education and career experience…
Constantly thirsty for growth, Jane enrolled for a Masters degree in international marketing management at Leeds University in the UK. According to her, studying abroad built her leadership acumen. She had to learn to be responsible and stand by herself being away from home and her parents. “One of the most important things I gained from studying abroad was a wider education experience as their system of learning is on a much broader spectrum and gives you a competitive edge in contrast to locally where learning tends to be very linear, a gap that institutions like USIU have now identified and are bridging,” she explains.
In her 15 years of work experience, her career has span from customer care, sales and advertising to marketing and communications in various sectors including energy, telecommunications, education and advertising. She first began her career in the UK, as a senior customer service advisor at Centrica Energy – British Gas for two years. During her stay there, she was in charge of managing the organisation’s brand image and perception through dealing with clients. “I learnt the ropes on the need for excellence and by the time I left the company, I had received several letters of appreciation for my exceptional service. This built my confidence,” she says.
Satisfied with the career footing she had got in the UK, Jane returned to Kenya in 2005 and did the Chartered Institute of Marketing (CIM) course, a professional marketing course designed to help marketers meet the increasing demands at every stage in their career. This propelled her into advertising agency jobs first working as an advertising accountant director at ZK Advertising and later at TAC Advertising.
“I was often tasked with developing brand and marketing strategies for various companies in a variety of sectors. I ended up handling big brands such as Virgin Atlantic, Mabati Rolling Mills, British Council, Sameer Africa and Toyota among many others. Although the agency jobs stretched me, they also allowed me to gain invaluable insight into how different industries shape the country’s economy. We were often a small team with high levels of responsibility and multiple tasks hence challenging,” she says.
One of her biggest achievements at the agencies was the successful launch of the Celtel/Zain Africa Challenge; the first ever televised academic competition among students at African universities, which was aired in Kenya, Uganda and Tanzania. Ironically, after four years at the agencies some of which involved working on the Zain product now Airtel, she took up a job offer with Zain as the advertising and senior media coordinator in charge of developing and implementing advertising activities for the organisation for various products and services. “They were very big about data and analytics and this built the true analytical aspect of me as a marketer,” she says of the experience that has come in handy to date.
In 2012, Jane joined USIU-Africa as the head of marketing and communication. In her current role at the institution, she has established the department from a public relations unit to a fully functioning marketing and communications department.
But it hasn’t been a breeze for Jane. She recalls that in her first week at work, she had to deal with a crisis when they lost one of their students. “It was rough but I loved how the organisation came in as a team to support each other,” she says of the great teamwork they enjoy at USIU-Africa.
She is constantly seeking to develop herself and in 2013, she graduated with her second Masters degree at USIU-Africa, an executive Masters in organizational development (EMOD). Perhaps as a testament to her passion for branding, her thesis project was on effects of rebranding on organisational culture. And she is glad it has paid off because under her leadership, the university was the first to qualify for nomination for the Marketing Society of Kenya Gala Awards in 2014 and got first runners-up position for the university’s re-branding campaign. Thereafter, USIU-Africa won the 2015 African Excellence Awards in the field of public relations and communications.
A game changer, Jane proudly says, “I can confidently say that since I joined the education sector as a marketer and communications expert, marketing & communication practitioners in other universities have stopped doing business as usual. Today university advertisements convey a message unlike before where they would just list the degrees offered by the institution, and for me that fills me with a sense of pride and accomplishment. I believe marketing and communication activities needs to be of value to the audience and that your brand is the right one for them.”
Jane attributes her success to a great support system both at work and at home. She is happy that the university recently went through a smooth transition with the change of the university’s vice chancellor. “Ours is a constant strive for global excellence as we aim to give students a holistic learning experience,” she says and adds that the university is currently in the process of transitioning from a taught to a research-aligned university.
On love and parenting…
Jane has been married for the last eight years to Alvin Thomas from Sierra Leone. The two met through a mutual friend when Thomas had come to Kenya on job training. Together they have two children: seven-year-old Marissa Wanjiru and four-year-old Maynard Macharia. “My husband travels a lot and therefore communication is very key to making our relationship work. Marriage is not for joy riders and so you need to be committed and determined to make it work,” she says of the institution she upholds highly.
With her busy schedule in addition to parenting and marriage, Jane has had to greatly prioritise her time to find a good work-life balance. “The way to make it work,” she says, “lies simply in good time management. I try to get my work done within the hours I have during the day and when I get home, I know that is family time. If there’s homework to be done, for example, I will do that.” She adds that it is very important to find time for oneself so as not to grow out of touch with your friends and family.
/*
Entry 1:
Computed, not measured: a relaxed structure of ZrAg at the PBE level of DFT.

Crystal system   tetragonal
SG   P4/nmm

abc: 3.4994 3.4994 6.6778
angles: 90.00 90.00 90.00
Atoms (fractional coordinates):
Zr1 0.2500 0.2500 0.1426
Zr2 0.7500 0.7500 0.8574
Ag1 0.2500 0.2500 0.6149
Ag2 0.7500 0.7500 0.3851


Entry 2:
Computed, not measured: a relaxed structure of LiSn3 at the PBE level of DFT.

Crystal system   tetragonal
SG   I4/mmm

abc: 4.5803 4.5803 9.5871
angles: 90.00 90.00 90.00
Atoms (fractional coordinates):
Li1 0.0000 0.0000 0.0000
Li2 0.5000 0.5000 0.5000
Sn1 0.0000 0.0000 0.5000
Sn2 0.0000 0.5000 0.2500
Sn3 0.0000 0.5000 0.7500
Sn4 0.5000 0.0000 0.2500
Sn5 0.5000 0.0000 0.7500
Sn6 0.5000 0.5000 0.0000


Entry 3:
Computed, not measured: a relaxed structure of GdEr3Mn8 at the PBE level of DFT.

Crystal system   monoclinic
SG   Cm

abc: 4.8924 4.8924 7.9139
angles: 90.40 90.40 59.98
Atoms (fractional coordinates):
Gd1 0.0000 0.0000 0.0000
Er1 0.0000 0.0000 0.6256
Er2 0.3333 0.3333 0.1258
Er3 0.3333 0.3333 0.4996
Mn1 0.0034 0.4982 0.8118
Mn2 0.3297 0.8354 0.3135
Mn3 0.4982 0.0034 0.8118
Mn4 0.4982 0.4982 0.8118
Mn5 0.6666 0.6666 0.0630
Mn6 0.6667 0.6667 0.5621
Mn7 0.8354 0.3297 0.3135
Mn8 0.8352 0.8352 0.3135


Entry 4:
Computed, not measured: a relaxed structure of Ce2SiSeO4 at the PBE level of DFT.

Corrected total energy (MP2020 scheme)   -8.323 eV/atom
Crystal system   orthorhombic
SG   Pbcm

abc: 6.2854 7.2603 11.1791
angles: 90.00 90.00 90.00
Atoms (fractional coordinates):
Ce1 0.1075 0.2500 0.0000
Ce2 0.1075 0.2500 0.5000
Ce3 0.3678 0.5345 0.2500
Ce4 0.3678 0.9655 0.7500
Ce5 0.6322 0.0345 0.2500
Ce6 0.6322 0.4655 0.7500
Ce7 0.8925 0.7500 0.0000
Ce8 0.8925 0.7500 0.5000
Si1 0.3870 0.7500 0.0000
Si2 0.3870 0.7500 0.5000
Si3 0.6130 0.2500 0.0000
Si4 0.6130 0.2500 0.5000
Se1 0.0758 0.6108 0.7500
Se2 0.0758 0.8892 0.2500
Se3 0.9242 0.1108 0.7500
Se4 0.9242 0.3892 0.2500
O1 0.2299 0.5751 0.0316
O2 0.2299 0.5751 0.4684
O3 0.2299 0.9249 0.5316
O4 0.2299 0.9249 0.9684
O5 0.4532 0.2345 0.6173
O6 0.4532 0.2345 0.8827
O7 0.4532 0.2655 0.1173
O8 0.4532 0.2655 0.3827
O9 0.5468 0.7345 0.6173
O10 0.5468 0.7345 0.8827
O11 0.5468 0.7655 0.1173
O12 0.5468 0.7655 0.3827
O13 0.7701 0.0751 0.0316
O14 0.7701 0.0751 0.4684
O15 0.7701 0.4249 0.5316
O16 0.7701 0.4249 0.9684


Entry 5:
Computed, not measured: a relaxed structure of SiO2 at the PBE level of DFT.

Corrected total energy (MP2020 scheme)   -8.368 eV/atom
Crystal system   triclinic
SG   P1

abc: 11.3238 13.9344 13.9379
angles: 60.02 89.99 90.00
Atoms (fractional coordinates):
Si1 0.0000 0.0000 0.0000
Si2 0.0003 0.3638 0.0179
Si3 0.0012 0.2015 0.5820
Si4 0.1292 0.4010 0.1936
Si5 0.1299 0.1637 0.4065
Si6 0.1323 0.7708 0.4187
Si7 0.1330 0.1751 0.7890
Si8 0.1330 0.3897 0.8110
Si9 0.1329 0.7943 0.1815
Si10 0.4093 0.1640 0.4063
Si11 0.4090 0.4016 0.1936
Si12 0.4115 0.7708 0.4192
Si13 0.4117 0.1749 0.7892
Si14 0.4124 0.3893 0.8112
Si15 0.4118 0.7942 0.1820
Si16 0.5411 0.2008 0.5808
*/
### So much for the calculated crystals
Mentorship is close to Jane’s heart and she enjoys mentoring the youth to manage various aspects of their lives from career to personal life. “The mistake that most girls make is not realising that certain people are good for them and thus utilise them as mentors and influencers while cutting ties with those who have a negative impact on them. As women, we often like hearing what we want to hear and not what we need to hear hence we need to be deliberate on the people who surround us,” she says.
During her free time, Jane enjoys spending time with her family and friends, reading books as well as travelling.
As we conclude this interview, Jane’s word of advice to young professionals is: “You need to first believe in yourself and then strive to remain resilient and focussed on your goals. And it pays to surround yourself with a great support system of people who inspire you to succeed.” esther@parents.co.ke
Published in July 2016